**Request:**
Could you retype everything underneath with every line break kept?

**File:**
********
Er2Be3ZnAu4 after structural relaxation, computed with GGA-PBE.

The structure belongs to space group P-4m2 (No. 115); the cell edges are 4.287, 4.287 and 9.357 Å and the angles 90.00°, 90.00° and 90.00°. The inequivalent atoms are Er at (0.000, 0.500, 0.250), Be at (0.000, 0.000, 0.000), Be at (0.000, 0.500, 0.612), Zn at (0.500, 0.500, 0.000), Au at (0.000, 0.000, 0.500), Au at (0.000, 0.500, 0.855) and Au at (0.500, 0.500, 0.500).

For the calculated total energy, the calculation gives -3.924 eV per atom. As for the crystal system: tetragonal. The calculation puts the total magnetization at 0.00 μB per cell. As for the mass density: 11.73 g/cm³.

----------

Crystalline MoIrPt2 at its relaxed geometry. Source: OQMD, functional PBE-GGA.

Values from the calculation:
volume: 242 Å³/cell
energy relative to the elements: -0.212 eV per atom
excess energy over the best structure of this formula in the dataset: 0.0 kJ/mol of atoms
M_tot: 0.00 μB per formula unit
total DFT energy (no corrections): -130.66 eV for the cell shown

a b c (Å): 4.5151 9.6151 5.5707
angles (deg): 90.00 90.00 90.00
Closest atoms and distances in Å follow each position.
Element x y z (fractional)
Mo (0.2500, 0.1645, 0.0000)  8 Pt 2.74-2.81, 4 Ir 2.75-2.80
Mo (0.2500, 0.6645, 0.5000)  8 Pt 2.74-2.81, 4 Ir 2.75-2.80
Mo (0.7500, 0.3355, 0.5000)  8 Pt 2.74-2.81, 4 Ir 2.75-2.80
Mo (0.7500, 0.8355, 0.0000)  8 Pt 2.74-2.81, 4 Ir 2.75-2.80
Ir (0.2500, 0.4153, 0.7444)  6 Pt 2.73-2.84, 4 Mo 2.75-2.80, 2 Ir 2.78
Ir (0.2500, 0.9153, 0.2444)  6 Pt 2.73-2.84, 4 Mo 2.75-2.80, 2 Ir 2.78
Ir (0.7500, 0.0847, 0.2444)  6 Pt 2.73-2.84, 4 Mo 2.75-2.80, 2 Ir 2.78
Ir (0.7500, 0.5847, 0.7444)  6 Pt 2.73-2.84, 4 Mo 2.75-2.80, 2 Ir 2.78
Pt (0.2500, 0.1672, 0.4953)  4 Pt 2.72-2.84, 4 Mo 2.76-2.81, 4 Ir 2.76-2.80
Pt (0.2500, 0.4130, 0.2538)  6 Pt 2.72-2.84, 2 Ir 2.73-2.84, 4 Mo 2.74-2.78
Pt (0.2500, 0.6672, 0.9953)  4 Pt 2.72-2.84, 4 Mo 2.76-2.81, 4 Ir 2.76-2.80
Pt (0.2500, 0.9130, 0.7538)  6 Pt 2.72-2.84, 2 Ir 2.73-2.84, 4 Mo 2.74-2.78
Pt (0.7500, 0.0870, 0.7538)  6 Pt 2.72-2.84, 2 Ir 2.73-2.84, 4 Mo 2.74-2.78
Pt (0.7500, 0.3328, 0.9953)  4 Pt 2.72-2.84, 4 Mo 2.76-2.81, 4 Ir 2.76-2.80
Pt (0.7500, 0.5870, 0.2538)  6 Pt 2.72-2.84, 2 Ir 2.73-2.84, 4 Mo 2.74-2.78
Pt (0.7500, 0.8328, 0.4953)  4 Pt 2.72-2.84, 4 Mo 2.76-2.81, 4 Ir 2.76-2.80
********

**Done:**
Er2Be3ZnAu4 after structural relaxation, computed with GGA-PBE.

The structure belongs to space group P-4m2 (No. 115); the cell edges are 4.287, 4.287 and 9.357 Å and the angles 90.00°, 90.00° and 90.00°. The inequivalent atoms are Er at (0.000, 0.500, 0.250), Be at (0.000, 0.000, 0.000), Be at (0.000, 0.500, 0.612), Zn at (0.500, 0.500, 0.000), Au at (0.000, 0.000, 0.500), Au at (0.000, 0.500, 0.855) and Au at (0.500, 0.500, 0.500).

For the calculated total energy, the calculation gives -3.924 eV per atom. As for the crystal system: tetragonal. The calculation puts the total magnetization at 0.00 μB per cell. As for the mass density: 11.73 g/cm³.

----------

Crystalline MoIrPt2 at its relaxed geometry. Source: OQMD, functional PBE-GGA.

Values from the calculation:
volume: 242 Å³/cell
energy relative to the elements: -0.212 eV per atom
excess energy over the best structure of this formula in the dataset: 0.0 kJ/mol of atoms
M_tot: 0.00 μB per formula unit
total DFT energy (no corrections): -130.66 eV for the cell shown

a b c (Å): 4.5151 9.6151 5.5707
angles (deg): 90.00 90.00 90.00
Closest atoms and distances in Å follow each position.
Element x y z (fractional)
Mo (0.2500, 0.1645, 0.0000)  8 Pt 2.74-2.81, 4 Ir 2.75-2.80
Mo (0.2500, 0.6645, 0.5000)  8 Pt 2.74-2.81, 4 Ir 2.75-2.80
Mo (0.7500, 0.3355, 0.5000)  8 Pt 2.74-2.81, 4 Ir 2.75-2.80
Mo (0.7500, 0.8355, 0.0000)  8 Pt 2.74-2.81, 4 Ir 2.75-2.80
Ir (0.2500, 0.4153, 0.7444)  6 Pt 2.73-2.84, 4 Mo 2.75-2.80, 2 Ir 2.78
Ir (0.2500, 0.9153, 0.2444)  6 Pt 2.73-2.84, 4 Mo 2.75-2.80, 2 Ir 2.78
Ir (0.7500, 0.0847, 0.2444)  6 Pt 2.73-2.84, 4 Mo 2.75-2.80, 2 Ir 2.78
Ir (0.7500, 0.5847, 0.7444)  6 Pt 2.73-2.84, 4 Mo 2.75-2.80, 2 Ir 2.78
Pt (0.2500, 0.1672, 0.4953)  4 Pt 2.72-2.84, 4 Mo 2.76-2.81, 4 Ir 2.76-2.80
Pt (0.2500, 0.4130, 0.2538)  6 Pt 2.72-2.84, 2 Ir 2.73-2.84, 4 Mo 2.74-2.78
Pt (0.2500, 0.6672, 0.9953)  4 Pt 2.72-2.84, 4 Mo 2.76-2.81, 4 Ir 2.76-2.80
Pt (0.2500, 0.9130, 0.7538)  6 Pt 2.72-2.84, 2 Ir 2.73-2.84, 4 Mo 2.74-2.78
Pt (0.7500, 0.0870, 0.7538)  6 Pt 2.72-2.84, 2 Ir 2.73-2.84, 4 Mo 2.74-2.78
Pt (0.7500, 0.3328, 0.9953)  4 Pt 2.72-2.84, 4 Mo 2.76-2.81, 4 Ir 2.76-2.80
Pt (0.7500, 0.5870, 0.2538)  6 Pt 2.72-2.84, 2 Ir 2.73-2.84, 4 Mo 2.74-2.78
Pt (0.7500, 0.8328, 0.4953)  4 Pt 2.72-2.84, 4 Mo 2.76-2.81, 4 Ir 2.76-2.80